== Brief ==
Could you print all of the data further down word for word?
== Listing ==
~~~
Zn6InGa12: computed powder XRD pattern (λ = 1.5418 Å (Cu Kα)), based on a GGA-PBE-relaxed structure.
Kinematic intensities with the Lorentz-polarization factor, no thermal factor.

```
Zn6InGa12
1.0
6.0272 3.4798 2.8619
-6.0272 3.4798 2.8619
0.0000 -6.9597 2.8619
Zn In Ga
6 1 12
direct
0.3029 0.3029 0.6956
0.3029 0.6956 0.3029
0.3044 0.6971 0.6971
0.6956 0.3029 0.3029
0.6971 0.3044 0.6971
0.6971 0.6971 0.3044
0.0000 0.0000 0.0000
0.1077 0.3571 0.3571
0.1152 0.5000 0.8848
0.1152 0.8848 0.5000
0.3571 0.1077 0.3571
0.3571 0.3571 0.1077
0.5000 0.1152 0.8848
0.5000 0.8848 0.1152
0.6429 0.6429 0.8923
0.6429 0.8923 0.6429
0.8848 0.1152 0.5000
0.8848 0.5000 0.1152
0.8923 0.6429 0.6429
```

Peak list (10 most intense, 10 to 90 degrees two-theta, by angle)
two_theta, I (rel.)
24.83, 32.7
32.64, 100.0
34.70, 53.4
39.05, 72.1
40.82, 72.5
43.26, 64.9
45.13, 30.9
45.70, 41.1
48.48, 50.2
78.02, 32.1

----------

(1)
# Sn2Hg2As3P
Theoretical powder diffraction line list, Cu Kα (λ = 1.5418 Å). Input: a DFT-relaxed cell (PBE, OQMD).
No peak broadening, texture or thermal motion is included.

```
data_Sn2Hg2As3P
_space_group_name_H-M_alt 'C 1 2 1'
_space_group_IT_number 5
_space_group_name_Hall 'C 2y'
_cell_length_a 13.555
_cell_length_b 6.188
_cell_length_c 6.171
_cell_angle_alpha 90.00
_cell_angle_beta 116.78
_cell_angle_gamma 90.00
loop_
_atom_site_label
_atom_site_fract_x
_atom_site_fract_y
_atom_site_fract_z
_atom_site_occupancy
Sn1 0.124 0.000 0.379 1
Hg1 0.121 0.513 0.863 1
As1 0.000 0.250 0.000 1
As2 0.250 0.254 0.749 1
P1 0.000 0.763 0.500 1
```

The 8 most intense peaks (10° ≤ 2θ ≤ 80°), low angle first:
two_theta	I (rel.)	h k l
25.1	1000	3 1 -1
28.9	103	0 2 0
41.3	230	2 2 -2
41.7	335	4 2 0
41.9	112	6 0 -2
48.9	251	1 3 1
49.1	81	5 1 -3
49.7	83	5 1 1

***

(2)
# HgAsPd2
Theoretical powder diffraction line list, Cu Kα (λ = 1.5418 Å). Input: a DFT-relaxed cell (PBE, OQMD).
No peak broadening, texture or thermal motion is included.

```
data_HgAsPd2
_space_group_name_H-M_alt 'F -4 3 m'
_space_group_IT_number 216
_space_group_name_Hall 'F -4 2 3'
_cell_length_a 6.547
_cell_length_b 6.547
_cell_length_c 6.547
_cell_angle_alpha 90.00
_cell_angle_beta 90.00
_cell_angle_gamma 90.00
loop_
_atom_site_label
_atom_site_fract_x
_atom_site_fract_y
_atom_site_fract_z
_atom_site_occupancy
Hg1 0.000 0.000 0.000 1
As1 0.250 0.250 0.750 1
Pd1 0.000 0.000 0.500 1
Pd2 0.250 0.250 0.250 1
```

The 8 most intense peaks (10° ≤ 2θ ≤ 80°), low angle first:
two_theta	I (rel.)	h k l
23.5	89	1 1 1
27.2	77	2 0 0
38.9	1000	2 2 0
46.0	50	3 1 1
48.1	23	2 2 2
56.2	171	4 0 0
63.6	31	4 2 0
70.5	346	4 2 2

***

(3)
# Rb2ZnHgAs2
Theoretical powder diffraction line list, Cu Kα (λ = 1.5418 Å). Input: a DFT-relaxed cell (PBE, OQMD).
No peak broadening, texture or thermal motion is included.

```
data_Rb2ZnHgAs2
_space_group_name_H-M_alt 'P -6 m 2'
_space_group_IT_number 187
_space_group_name_Hall 'P -6 2'
_cell_length_a 4.4935
_cell_length_b 4.4935
_cell_length_c 10.9308
_cell_angle_alpha 90.00
_cell_angle_beta 90.00
_cell_angle_gamma 120.00
loop_
_atom_site_label
_atom_site_fract_x
_atom_site_fract_y
_atom_site_fract_z
_atom_site_occupancy
Rb1 0.0000 0.0000 0.2489 1
Zn1 0.6667 0.3333 0.0000 1
Hg1 0.3333 0.6667 0.5000 1
As1 0.3333 0.6667 0.0000 1
As2 0.6667 0.3333 0.5000 1
```

The 8 most intense peaks (10° ≤ 2θ ≤ 80°), low angle first:
two_theta	I (rel.)	h k l
16.2	240	0 0 2
28.1	1000	1 0 2
32.8	249	0 0 4
40.1	428	1 1 0
49.7	206	2 0 2
52.7	383	1 1 4
55.7	146	1 0 6
65.7	178	2 1 2

***

(4)
# HgAsSe2S
Theoretical powder diffraction line list, Cu Kα (λ = 1.5418 Å). Input: a DFT-relaxed cell (PBE, OQMD).
No peak broadening, texture or thermal motion is included.

```
data_HgAsSe2S
_space_group_name_H-M_alt 'P -1'
_space_group_IT_number 2
_space_group_name_Hall '-P 1'
_cell_length_a 6.587
_cell_length_b 6.660
_cell_length_c 8.042
_cell_angle_alpha 95.22
_cell_angle_beta 107.13
_cell_angle_gamma 117.73
loop_
_atom_site_label
_atom_site_fract_x
_atom_site_fract_y
_atom_site_fract_z
~~~
== Here it is ==
Zn6InGa12: computed powder XRD pattern (λ = 1.5418 Å (Cu Kα)), based on a GGA-PBE-relaxed structure.
Kinematic intensities with the Lorentz-polarization factor, no thermal factor.

```
Zn6InGa12
1.0
6.0272 3.4798 2.8619
-6.0272 3.4798 2.8619
0.0000 -6.9597 2.8619
Zn In Ga
6 1 12
direct
0.3029 0.3029 0.6956
0.3029 0.6956 0.3029
0.3044 0.6971 0.6971
0.6956 0.3029 0.3029
0.6971 0.3044 0.6971
0.6971 0.6971 0.3044
0.0000 0.0000 0.0000
0.1077 0.3571 0.3571
0.1152 0.5000 0.8848
0.1152 0.8848 0.5000
0.3571 0.1077 0.3571
0.3571 0.3571 0.1077
0.5000 0.1152 0.8848
0.5000 0.8848 0.1152
0.6429 0.6429 0.8923
0.6429 0.8923 0.6429
0.8848 0.1152 0.5000
0.8848 0.5000 0.1152
0.8923 0.6429 0.6429
```

Peak list (10 most intense, 10 to 90 degrees two-theta, by angle)
two_theta, I (rel.)
24.83, 32.7
32.64, 100.0
34.70, 53.4
39.05, 72.1
40.82, 72.5
43.26, 64.9
45.13, 30.9
45.70, 41.1
48.48, 50.2
78.02, 32.1

----------

(1)
# Sn2Hg2As3P
Theoretical powder diffraction line list, Cu Kα (λ = 1.5418 Å). Input: a DFT-relaxed cell (PBE, OQMD).
No peak broadening, texture or thermal motion is included.

```
data_Sn2Hg2As3P
_space_group_name_H-M_alt 'C 1 2 1'
_space_group_IT_number 5
_space_group_name_Hall 'C 2y'
_cell_length_a 13.555
_cell_length_b 6.188
_cell_length_c 6.171
_cell_angle_alpha 90.00
_cell_angle_beta 116.78
_cell_angle_gamma 90.00
loop_
_atom_site_label
_atom_site_fract_x
_atom_site_fract_y
_atom_site_fract_z
_atom_site_occupancy
Sn1 0.124 0.000 0.379 1
Hg1 0.121 0.513 0.863 1
As1 0.000 0.250 0.000 1
As2 0.250 0.254 0.749 1
P1 0.000 0.763 0.500 1
```

The 8 most intense peaks (10° ≤ 2θ ≤ 80°), low angle first:
two_theta	I (rel.)	h k l
25.1	1000	3 1 -1
28.9	103	0 2 0
41.3	230	2 2 -2
41.7	335	4 2 0
41.9	112	6 0 -2
48.9	251	1 3 1
49.1	81	5 1 -3
49.7	83	5 1 1

***

(2)
# HgAsPd2
Theoretical powder diffraction line list, Cu Kα (λ = 1.5418 Å). Input: a DFT-relaxed cell (PBE, OQMD).
No peak broadening, texture or thermal motion is included.

```
data_HgAsPd2
_space_group_name_H-M_alt 'F -4 3 m'
_space_group_IT_number 216
_space_group_name_Hall 'F -4 2 3'
_cell_length_a 6.547
_cell_length_b 6.547
_cell_length_c 6.547
_cell_angle_alpha 90.00
_cell_angle_beta 90.00
_cell_angle_gamma 90.00
loop_
_atom_site_label
_atom_site_fract_x
_atom_site_fract_y
_atom_site_fract_z
_atom_site_occupancy
Hg1 0.000 0.000 0.000 1
As1 0.250 0.250 0.750 1
Pd1 0.000 0.000 0.500 1
Pd2 0.250 0.250 0.250 1
```

The 8 most intense peaks (10° ≤ 2θ ≤ 80°), low angle first:
two_theta	I (rel.)	h k l
23.5	89	1 1 1
27.2	77	2 0 0
38.9	1000	2 2 0
46.0	50	3 1 1
48.1	23	2 2 2
56.2	171	4 0 0
63.6	31	4 2 0
70.5	346	4 2 2

***

(3)
# Rb2ZnHgAs2
Theoretical powder diffraction line list, Cu Kα (λ = 1.5418 Å). Input: a DFT-relaxed cell (PBE, OQMD).
No peak broadening, texture or thermal motion is included.

```
data_Rb2ZnHgAs2
_space_group_name_H-M_alt 'P -6 m 2'
_space_group_IT_number 187
_space_group_name_Hall 'P -6 2'
_cell_length_a 4.4935
_cell_length_b 4.4935
_cell_length_c 10.9308
_cell_angle_alpha 90.00
_cell_angle_beta 90.00
_cell_angle_gamma 120.00
loop_
_atom_site_label
_atom_site_fract_x
_atom_site_fract_y
_atom_site_fract_z
_atom_site_occupancy
Rb1 0.0000 0.0000 0.2489 1
Zn1 0.6667 0.3333 0.0000 1
Hg1 0.3333 0.6667 0.5000 1
As1 0.3333 0.6667 0.0000 1
As2 0.6667 0.3333 0.5000 1
```

The 8 most intense peaks (10° ≤ 2θ ≤ 80°), low angle first:
two_theta	I (rel.)	h k l
16.2	240	0 0 2
28.1	1000	1 0 2
32.8	249	0 0 4
40.1	428	1 1 0
49.7	206	2 0 2
52.7	383	1 1 4
55.7	146	1 0 6
65.7	178	2 1 2

***

(4)
# HgAsSe2S
Theoretical powder diffraction line list, Cu Kα (λ = 1.5418 Å). Input: a DFT-relaxed cell (PBE, OQMD).
No peak broadening, texture or thermal motion is included.

```
data_HgAsSe2S
_space_group_name_H-M_alt 'P -1'
_space_group_IT_number 2
_space_group_name_Hall '-P 1'
_cell_length_a 6.587
_cell_length_b 6.660
_cell_length_c 8.042
_cell_angle_alpha 95.22
_cell_angle_beta 107.13
_cell_angle_gamma 117.73
loop_
_atom_site_label
_atom_site_fract_x
_atom_site_fract_y
_atom_site_fract_z